Graph View - SuperWEB2
Click the Graph View tab to generate a graph based on your current table:

If your table is currently set to use percentages, then the graph will also represent the values as percentages.
There are a number of ways you can interact with and edit the graph:
To maximise the amount of space available for viewing your graph, you can close the Customise Graph section by clicking the Close button. Click Customise Graph to open it again.
See More Information
Move your mouse over the graph to see a tool tip containing more information about the values in the graph:

Change the Graph Type
Select one of the other graph types from the list in the Customise Graph section. The graph will change automatically.
For example:
Pie Charts:

Column Charts:

Choose to Graph by Row or Column
By default, SuperWEB2 places the items from the table rows along one axis and shows the values from the table on the other axis.
If you want to view the column headings on the axis instead, you can use the Graph by option to swap:

For example, the following table shows the number of customers holding different banking products between 2000 and 2006:

-- Calculated molecules that have nothing to do with the text --
-- begin --
{
  "formula": "C51H53FeIN12O2PS",
  "method": "ωB97M-V with the def2-TZVPD basis set",
  "lumo_energy_ev": [-5.773, -5.655],
  "multiplicity": 2,
  "total_charge": 2,
  "s_squared": 0.8953,
  "molar_mass_g_mol": 1111.9,
  "e_homo_ev": [-12.16, -12.22],
  "symbols": ["Fe", "O", "C", "C", "C", "C", "C", "C", "C", "P", "C", "C", "C", "C", "C", "C", "C", "C", "C", "C", "C", "C", "H", "H", "H", "H", "H", "H", "H", "H", "H", "H", "H", "H", "H", "H", "C", "N", "C", "N", "C", "N", "C", "C", "C", "C", "C", "C", "C", "N", "N", "C", "O", "C", "C", "C", "C", "C", "C", "N", "C", "N", "C", "N", "C", "H", "H", "H", "H", "H", "H", "H", "H", "H", "H", "H", "H", "H", "H", "H", "H", "I", "C", "C", "N", "N", "C", "H", "H", "H", "C", "C", "C", "C", "N", "C", "S", "N", "C", "C", "C", "C", "H", "H", "H", "H", "H", "H", "H", "H", "H", "H", "H", "H", "H", "H", "H", "H", "H", "H", "H", "H"],
-- stop --

By default, for most graph types, the row headings are placed on the x axis:

The exception to this is bar charts (and stacked bar charts), which have the row headings on the y axis by default:

If you select Column from the Graph By option, then SuperWEB2 displays the column headings on the x axis, instead of the row headings:

For bar charts, if you select Column from the Graph By option, then SuperWEB2 displays the column headings on the y axis, instead of the row headings:

Select the Series for Pie Charts
Pie charts can only show a single row or column at a time. Use the Graph by option to choose whether you want to show a row or column from the table, and the Selected series drop-down to select which row or column.
For example, in this case the chart is showing the breakdown of product types for the year 2000. You can use the Selected series drop-down to change the year shown in the chart:

Hide Values
The key at the bottom of the graph is interactive: you can click any of the items to temporarily hide them from the graph. This can be particularly useful if you have some outlying value that makes it hard to focus on what you are interested in.
For example:
In this graph, the number of customers with the Demand Deposit account is so much greater than the others that it is hard to see the differences between the other account types:

You can click Demand Deposit in the key to temporarily hide it from the graph. The graph automatically updates, and the scale of the y axis automatically adjusts to make best use of the available screen space:

Hide Totals, Sub-Totals and Axis Derivations
Select or clear the check boxes to hide or show totals, sub-totals and axis derivations in the graph:

All these options are selected by default. The corresponding options will be greyed out if the table does not contain totals, sub-totals, or axis derivations.
Edit the Axis Titles
You can edit the axis titles. Simply click one of the axis titles and enter your new title (or clear the box to revert to the default title):

Your edited titles will be displayed for as long as you remain in Graph View and will be included on PDF or PNG downloads. You can change the graph type and the graph will keep the same edited titles. However, the titles will not be saved if you switch to one of the other views (for example if you switch to Table View and then switch back to Graph View, the graph will revert to the default titles).
Data too Big to be Visualised
You will not be able to generate a graph if there are too many items in your table. If there are too many items, SuperWEB2 will display a message indicating that your data is too big to be visualised:

Go to Table View and make changes to your table to reduce its size. You might be able to reduce the table size by applying the zero suppression options.
Download the Graph
You cannot save your graph inside SuperWEB2; it is only available for the current session. However, if you save the table that you used to create the graph you will be able to reopen the saved table and then access the graph again via Graph View.
If you want a copy of the graph (for example to use in a report or presentation) then you can download your graph:
- Select the download format from the drop-down list. You can choose to download the graph as a PDF or in PNG (image) format:
- Click Go.
If you have a very large number of items listed in the key at the bottom of the graph, then they will be paginated when the graph is displayed in SuperWEB2. Only the first page of items will be displayed in the downloaded PNG or PDF.
Languages in Downloaded Graphs
If your SuperWEB2 system has been set up for multiple languages, then the language used in the download will depend on what language(s) you have currently selected in SuperWEB2:
- If the current dataset has been configured to support multiple languages, then the download will use the language currently selected from the Dataset Language menu.
- If the current dataset is only in a single language, then the fields from the dataset itself will be shown in the dataset's language, but any additional text included in the download will be in the currently selected user interface language.